File >
The following is a PBE calculation of a relaxed structure of K2NaGdCl6, from the Materials Project database.

Its space group is Fm-3m (225). For the formation energy, the calculation gives -2.42 eV per atom.

Lattice parameters (Å, degrees): 7.6279 7.6279 7.6279 60.00 60.00 60.00
Fractional coordinates of all 10 atoms:
Cl 0.2463 0.7537 0.2463
Cl 0.7537 0.2463 0.7537
K 0.7500 0.7500 0.7500
Gd 0.0000 0.0000 0.0000
Cl 0.7537 0.2463 0.2463
K 0.2500 0.2500 0.2500
Cl 0.7537 0.7537 0.2463
Cl 0.2463 0.2463 0.7537
Na 0.5000 0.5000 0.5000
Cl 0.2463 0.7537 0.7537

=====

Computed, not measured: SrSmMn4O12 after structural relaxation at the PBE+U level of DFT.

Properties
E ... -121.976 eV/f.u.
Space-group type ... No. 123

Cell and atoms, written as extended XYZ:
```
18
Lattice="-3.452 1.072 -3.962 0.720 -4.938 -1.964 -5.714 -2.540 4.292" Properties=species:S:1:pos:R:3 pbc="T T T"
Sr -2.857 -1.270 2.146
Sm -1.366 -1.933 -2.963
Mn -3.914 -4.369 2.229
Mn -1.079 -3.109 0.099
Mn -6.001 -1.364 1.230
Mn -3.165 -0.104 -0.900
O -5.060 -2.934 1.741
O -2.065 -1.603 -0.509
O -6.381 -4.804 -1.125
O -3.386 -3.473 -3.374
O -6.729 -2.416 -0.175
O -3.734 -1.084 -2.425
O -4.711 -5.322 0.791
O -1.716 -3.991 -1.458
O -2.497 -3.739 1.164
O 0.360 -2.469 -0.982
O -4.583 -0.734 0.165
O -1.726 0.536 -1.981
```

=====

Computed, not measured: Sr2SmMnO6 after structural relaxation at the PBE+U level of DFT.

Properties
E ... -68.734 eV/f.u.
Space-group type ... No. 225

Cell and atoms, written as extended XYZ:
```
10
Lattice="0.000 -4.160 -4.160 4.160 0.000 -4.160 4.160 -4.160 0.000" Properties=species:S:1:pos:R:3 pbc="T T T"
Sr 2.080 -2.080 -2.080
Sr 6.240 -6.240 -6.240
Sm 4.160 -4.160 -4.160
Mn 0.000 0.000 0.000
O 1.909 -4.160 -4.160
O 6.410 -4.160 -4.160
O 4.160 -6.410 -4.160
O 4.160 -1.909 -4.160
O 4.160 -4.160 -6.410
O 4.160 -4.160 -1.909
```

=====

Computed, not measured: Mn5SnO12 after structural relaxation at the PBE+U level of DFT.

Properties
E ... -124.764 eV/f.u.
Space-group type ... No. 12

Cell and atoms, written as extended XYZ:
```
18
Lattice="4.473 2.581 0.000 -4.473 2.581 0.000 0.000 0.009 10.561" Properties=species:S:1:pos:R:3 pbc="T T T"
Mn 2.981 2.585 5.280
Mn -1.491 2.581 0.000
Mn 1.491 2.581 0.000
Mn -2.981 2.585 5.280
Mn 0.000 2.585 5.280
Sn 0.000 0.000 0.000
O -1.586 0.924 9.559
O -1.586 4.247 1.002
O 1.491 3.446 6.214
O -1.491 3.446 6.214
O 1.491 1.725 4.347
O 0.000 4.307 4.346
O -1.491 1.725 4.347
O 1.586 0.924 9.559
O 0.000 3.340 9.559
O 1.586 4.247 1.002
O 0.000 1.830 1.002
O 0.000 0.864 6.215
```

=====

Computed, not measured: Mn21Sn9O40 after structural relaxation at the PBE+U level of DFT.

Properties
E ... -503.352 eV/f.u.
Space-group type ... No. 82

Cell and atoms, written as extended XYZ:
```
70
Lattice="-7.087 7.087 4.486 7.087 -7.087 4.486 7.087 7.087 -4.486" Properties=species:S:1:pos:R:3 pbc="T T T"
Mn 7.096 3.503 1.127
Mn 4.976 2.798 3.360
Mn -1.412 7.794 1.078
Mn 4.249 4.961 1.120
Mn 3.503 7.077 -1.127
Mn 3.583 0.009 3.359
Mn 2.838 2.125 5.606
Mn 0.707 8.498 3.408
Mn 2.111 4.288 -1.126
Mn 1.412 6.379 1.078
Mn 7.087 0.000 2.243
Mn -0.707 5.675 3.408
Mn 9.212 4.249 -1.120
Mn 0.713 1.419 7.850
Mn 1.419 -0.713 1.123
Mn -0.009 3.583 5.613
Mn 6.374 5.668 3.364
Mn 5.668 7.799 -3.364
Mn -2.125 2.838 3.367
Mn -2.798 4.976 5.613
Mn 9.885 2.111 1.126
Sn 5.669 4.253 -2.243
Sn 1.416 9.910 0.001
Sn 4.263 1.416 -0.001
Sn 2.824 5.671 4.485
Sn 1.417 2.833 2.243
Sn 2.833 -1.417 6.730
Sn 0.000 0.000 4.486
Sn 5.671 -2.824 4.488
Sn 4.253 8.504 2.243
O 7.143 3.526 -1.091
O 7.039 3.575 3.330
O -1.371 7.774 3.284
O 10.662 0.048 1.156
O 4.301 4.909 3.339
O 4.984 2.889 1.159
O 4.939 2.787 5.573
O 4.208 4.983 -1.084
O 5.559 0.764 3.469
O 3.526 7.030 1.091
O 2.148 4.299 1.087
O 2.879 2.103 3.402
O 3.561 0.057 5.578
O 8.614 -0.764 3.469
O 7.851 1.527 1.017
O 3.512 -0.048 1.156
O 2.786 2.178 -1.148
O 2.103 4.197 5.645
O 1.371 6.399 3.284
O 0.687 8.458 1.202
O 2.178 11.388 1.148
O 7.134 -3.575 3.330
O 0.715 1.491 5.641
O -0.687 5.716 1.202

Exercise >
What is needed: restate all of the block further up with every line break kept.

Worked solution >
The following is a PBE calculation of a relaxed structure of K2NaGdCl6, from the Materials Project database.

Its space group is Fm-3m (225). For the formation energy, the calculation gives -2.42 eV per atom.

Lattice parameters (Å, degrees): 7.6279 7.6279 7.6279 60.00 60.00 60.00
Fractional coordinates of all 10 atoms:
Cl 0.2463 0.7537 0.2463
Cl 0.7537 0.2463 0.7537
K 0.7500 0.7500 0.7500
Gd 0.0000 0.0000 0.0000
Cl 0.7537 0.2463 0.2463
K 0.2500 0.2500 0.2500
Cl 0.7537 0.7537 0.2463
Cl 0.2463 0.2463 0.7537
Na 0.5000 0.5000 0.5000
Cl 0.2463 0.7537 0.7537

=====

Computed, not measured: SrSmMn4O12 after structural relaxation at the PBE+U level of DFT.

Properties
E ... -121.976 eV/f.u.
Space-group type ... No. 123

Cell and atoms, written as extended XYZ:
```
18
Lattice="-3.452 1.072 -3.962 0.720 -4.938 -1.964 -5.714 -2.540 4.292" Properties=species:S:1:pos:R:3 pbc="T T T"
Sr -2.857 -1.270 2.146
Sm -1.366 -1.933 -2.963
Mn -3.914 -4.369 2.229
Mn -1.079 -3.109 0.099
Mn -6.001 -1.364 1.230
Mn -3.165 -0.104 -0.900
O -5.060 -2.934 1.741
O -2.065 -1.603 -0.509
O -6.381 -4.804 -1.125
O -3.386 -3.473 -3.374
O -6.729 -2.416 -0.175
O -3.734 -1.084 -2.425
O -4.711 -5.322 0.791
O -1.716 -3.991 -1.458
O -2.497 -3.739 1.164
O 0.360 -2.469 -0.982
O -4.583 -0.734 0.165
O -1.726 0.536 -1.981
```

=====

Computed, not measured: Sr2SmMnO6 after structural relaxation at the PBE+U level of DFT.

Properties
E ... -68.734 eV/f.u.
Space-group type ... No. 225

Cell and atoms, written as extended XYZ:
```
10
Lattice="0.000 -4.160 -4.160 4.160 0.000 -4.160 4.160 -4.160 0.000" Properties=species:S:1:pos:R:3 pbc="T T T"
Sr 2.080 -2.080 -2.080
Sr 6.240 -6.240 -6.240
Sm 4.160 -4.160 -4.160
Mn 0.000 0.000 0.000
O 1.909 -4.160 -4.160
O 6.410 -4.160 -4.160
O 4.160 -6.410 -4.160
O 4.160 -1.909 -4.160
O 4.160 -4.160 -6.410
O 4.160 -4.160 -1.909
```

=====

Computed, not measured: Mn5SnO12 after structural relaxation at the PBE+U level of DFT.

Properties
E ... -124.764 eV/f.u.
Space-group type ... No. 12

Cell and atoms, written as extended XYZ:
```
18
Lattice="4.473 2.581 0.000 -4.473 2.581 0.000 0.000 0.009 10.561" Properties=species:S:1:pos:R:3 pbc="T T T"
Mn 2.981 2.585 5.280
Mn -1.491 2.581 0.000
Mn 1.491 2.581 0.000
Mn -2.981 2.585 5.280
Mn 0.000 2.585 5.280
Sn 0.000 0.000 0.000
O -1.586 0.924 9.559
O -1.586 4.247 1.002
O 1.491 3.446 6.214
O -1.491 3.446 6.214
O 1.491 1.725 4.347
O 0.000 4.307 4.346
O -1.491 1.725 4.347
O 1.586 0.924 9.559
O 0.000 3.340 9.559
O 1.586 4.247 1.002
O 0.000 1.830 1.002
O 0.000 0.864 6.215
```

=====

Computed, not measured: Mn21Sn9O40 after structural relaxation at the PBE+U level of DFT.

Properties
E ... -503.352 eV/f.u.
Space-group type ... No. 82

Cell and atoms, written as extended XYZ:
```
70
Lattice="-7.087 7.087 4.486 7.087 -7.087 4.486 7.087 7.087 -4.486" Properties=species:S:1:pos:R:3 pbc="T T T"
Mn 7.096 3.503 1.127
Mn 4.976 2.798 3.360
Mn -1.412 7.794 1.078
Mn 4.249 4.961 1.120
Mn 3.503 7.077 -1.127
Mn 3.583 0.009 3.359
Mn 2.838 2.125 5.606
Mn 0.707 8.498 3.408
Mn 2.111 4.288 -1.126
Mn 1.412 6.379 1.078
Mn 7.087 0.000 2.243
Mn -0.707 5.675 3.408
Mn 9.212 4.249 -1.120
Mn 0.713 1.419 7.850
Mn 1.419 -0.713 1.123
Mn -0.009 3.583 5.613
Mn 6.374 5.668 3.364
Mn 5.668 7.799 -3.364
Mn -2.125 2.838 3.367
Mn -2.798 4.976 5.613
Mn 9.885 2.111 1.126
Sn 5.669 4.253 -2.243
Sn 1.416 9.910 0.001
Sn 4.263 1.416 -0.001
Sn 2.824 5.671 4.485
Sn 1.417 2.833 2.243
Sn 2.833 -1.417 6.730
Sn 0.000 0.000 4.486
Sn 5.671 -2.824 4.488
Sn 4.253 8.504 2.243
O 7.143 3.526 -1.091
O 7.039 3.575 3.330
O -1.371 7.774 3.284
O 10.662 0.048 1.156
O 4.301 4.909 3.339
O 4.984 2.889 1.159
O 4.939 2.787 5.573
O 4.208 4.983 -1.084
O 5.559 0.764 3.469
O 3.526 7.030 1.091
O 2.148 4.299 1.087
O 2.879 2.103 3.402
O 3.561 0.057 5.578
O 8.614 -0.764 3.469
O 7.851 1.527 1.017
O 3.512 -0.048 1.156
O 2.786 2.178 -1.148
O 2.103 4.197 5.645
O 1.371 6.399 3.284
O 0.687 8.458 1.202
O 2.178 11.388 1.148
O 7.134 -3.575 3.330
O 0.715 1.491 5.641
O -0.687 5.716 1.202